Rick was an outstanding person. I blame my neglecting the forums so long for not knowing he was in bad health. I'll be donating blood in his honor. May God bless his family.
While i cannot donate blood in LA, it is a reminder of the need all over...and as the expression goes...'it is in you to give!' As per the Manresa, the Jesuits do a lot of amazing work. A quick read of the Manresa House of Retreat certainly suggests it is a wonderful retreat centre. The Donations page is a little lacking for how to make a contribution, and nothing appears to be able to be done online, but there is a contact spot. I will post any replies that i get when they respond. If anyone finds a link please post it. There is however an option to comment in the online obituary.
While i cannot donate blood in LA, it is a reminder of the need all over...and as the expression goes...'it is in you to give!' As per the Manresa, the Jesuits do a lot of amazing work. A quick read of the Manresa House of Retreat certainly suggests it is a wonderful retreat centre. The Donations page is a little lacking for how to make a contribution, and nothing appears to be able to be done online, but there is a contact spot. I will post any replies that i get when they respond. If anyone finds a link please post it. There is however an option to comment in the online obituary.
Yes Barry. Let us know. I am more than willing to donate. Thanks for your help. Your a good man.
I also reached out to Rick's son Ryan and got the family's blessing to run with my idea. Last year I had the honor of being Rick's secret Santa, his request as many know that Rick was big into cigar hats. I had an idea of getting a hat and sending it out to any brothers interested in signing the hat an then sending it back to Rick's family. Rick advised me that the family liked the idea and that Rick's wife would be willing to send me one of Rick's hats to get this going. Any interest please post here or shoot me a PM with an addy.
I also reached out to Rick's son Ryan and got the family's blessing to run with my idea. Last year I had the honor of being Rick's secret Santa, his request as many know that Rick was big into cigar hats. I had an idea of getting a hat and sending it out to any brothers interested in signing the hat an then sending it back to Rick's family. Rick advised me that the family liked the idea and that Rick's wife would be willing to send me one of Rick's hats to get this going. Any interest please post here or shoot me a PM with an addy.
-- Here the entry breaks off for quantum chemistry results --
=====
ORCA calculation (the ωB97M-V functional and the def2-TZVPD basis) on a molecular structure, C20H46N5O3P2PdSi2.

```
79
Properties=species:S:1:pos:R:3:forces:R:3
Pd 0.099799 -0.439606 0.762264 -0.54 -2.09 -0.15
C 3.353621 2.149091 -2.428677 -0.02 -0.01 -0.03
N 2.491676 1.248094 -3.199455 -0.21 0.08 0.32
C 2.439193 1.538837 -4.625476 0.00 -0.12 -0.01
P 1.224903 0.617493 -2.366829 0.08 0.27 -0.51
O 1.632320 0.038819 -1.069886 0.01 -0.02 -0.03
O 0.240981 1.924176 -2.115585 0.03 -0.30 0.05
P -1.055027 1.901252 -1.136012 -0.23 0.66 -0.13
O -1.359941 0.526818 -0.666468 -0.15 0.22 -0.36
N -0.631925 2.921537 0.106743 0.14 -0.29 -0.35
C -0.789336 4.366737 -0.043005 -0.05 -0.02 0.06
C 0.622338 2.542372 0.764989 -0.26 0.08 -0.01
N -2.268555 2.574803 -2.001827 0.32 -0.24 0.02
C -3.549181 1.883216 -2.132978 -0.05 0.02 0.12
C -2.009523 3.611280 -2.995036 -0.02 0.03 0.04
N 0.383354 -0.379891 -3.366188 -0.11 0.17 0.36
C -0.038654 -1.680131 -2.839667 0.12 -0.03 -0.12
C -0.556074 0.180397 -4.334146 -0.02 -0.04 -0.01
H 4.376396 2.067343 -2.796649 -0.01 0.00 -0.01
H 3.341843 1.850123 -1.382619 0.05 0.01 0.00
H 3.031673 3.193314 -2.509613 -0.01 -0.03 -0.02
H 3.459324 1.682243 -4.980144 0.00 -0.02 -0.02
H 1.868944 2.447000 -4.852485 0.01 0.00 0.02
H 2.011895 0.692537 -5.158790 0.00 0.03 -0.03
H -1.771495 4.586141 -0.454756 0.03 0.04 0.01
H -0.014021 4.808536 -0.679607 -0.01 0.00 0.00
H -0.722084 4.824000 0.944110 -0.01 0.00 -0.01
H 0.642168 1.438211 0.891465 0.30 0.92 0.15
H 0.669008 3.015172 1.744505 -0.01 -0.07 0.04
H 1.499586 2.838348 0.180428 0.03 -0.08 0.00
H -3.579867 1.037454 -1.450982 -0.03 0.01 -0.01
H -3.686462 1.517602 -3.154426 0.02 0.02 0.00
H -4.369911 2.559971 -1.889749 0.01 0.02 -0.03
H -0.995706 3.991650 -2.889348 -0.03 0.05 -0.03
H -2.711375 4.438203 -2.870959 0.02 0.00 0.01
H -2.123448 3.214461 -4.008060 0.01 -0.03 0.02
H 0.626438 -1.984173 -2.035887 0.02 -0.04 -0.02
H 0.003209 -2.419633 -3.641611 0.01 0.00 0.02
H -1.059807 -1.629793 -2.448607 0.01 0.06 0.02
H -0.279801 1.195344 -4.611040 0.03 -0.02 -0.04
H -1.573084 0.201900 -3.924579 0.03 0.00 0.03
H -0.560851 -0.439967 -5.231432 0.00 0.04 -0.02
C 2.740745 -2.280857 1.074457 -0.27 0.16 0.17
Si 1.925715 -1.369960 2.516861 0.88 -0.75 0.84
C 2.537227 0.420236 2.646701 -0.30 -0.17 -0.13
C 2.458405 -2.239363 4.117216 -0.06 0.16 -0.21
C 0.066542 -1.675369 2.429969 0.29 1.45 -0.78
C -0.268309 -2.944407 1.770722 -0.13 -0.66 0.03
C -0.363027 -4.174575 2.414839 0.02 0.09 0.01
C -0.691735 -5.285907 1.661402 0.00 0.07 -0.05
C -0.920791 -5.129766 0.299541 0.01 -0.02 0.00
C -0.808074 -3.868686 -0.256710 -0.07 -0.06 -0.22
N -0.484474 -2.794254 0.459567 0.29 0.58 0.51
Si -1.441225 -0.785491 3.131795 -0.63 -0.12 0.64
C -2.903833 -1.270140 2.035941 0.32 0.05 0.16
C -1.717593 -1.431986 4.883996 0.09 0.08 -0.25
C -1.244712 1.094448 3.184281 0.07 -0.35 -0.03
H 3.825161 -2.161921 1.117149 0.01 0.04 0.06
H 2.400455 -1.909907 0.108172 0.07 0.00 -0.06
H 2.515106 -3.348193 1.133236 0.01 0.00 0.02
=====
All of the above ideas are great and suggest a lot of concern and suppost. Please be reminded though that Rick passed away 2 weeks ago, on Thursday, January 12, 2014. My point is only that we have missed the immediate passing. So perhaps the cards, if sent individually might actually help the family through the process. Obviously i have no idea though what is best. Cards from all over will help in the reasonably close/immediate grieving process, and that the signed hat, and any sort of collective retreat sponsorship we can do which might help in the long term support of his Rick's memories for his family. Again, just some random thoughts.
Here the page breaks off for calculated molecules:
/*
# 1
{
  "formula": "C19H21N3O6S",
  "method": "ωB97M-V/def2-TZVPD",
  "species": ["S", "O", "O", "O", "O", "O", "O", "N", "N", "N", "C", "C", "C", "C", "C", "C", "C", "C", "C", "C", "C", "C", "C", "C", "C", "C", "C", "C", "C", "H", "H", "H", "H", "H", "H", "H", "H", "H", "H", "H", "H", "H", "H", "H", "H", "H", "H", "H", "H", "H"],
  "xyz": [[2.055, -0.529, -0.950], [1.499, 0.787, -0.756], [2.252, -0.956, -2.305], [1.101, 1.849, 1.991], [1.321, 3.384, 0.508], [-3.530, -2.087, 1.274], [-5.433, 1.639, -0.314], [-3.267, -1.249, -0.807], [0.703, 2.492, 1.039], [3.473, -0.793, -0.099], [-2.768, 1.217, 0.894], [-0.924, 2.470, -0.775], [-2.816, -1.857, 0.320], [-4.401, 0.969, -1.001], [4.665, -0.419, -0.843], [4.827, 1.080, -0.579], [0.410, -3.687, 1.009], [1.349, -2.837, 0.442], [-0.608, 2.178, 0.543], [-0.424, -1.367, -0.259], [0.918, -1.678, -0.172], [-2.156, 2.084, -1.267], [-3.080, 1.448, -0.443], [3.532, -0.048, 1.150], [-4.539, -0.572, -0.835], [-0.937, -3.374, 0.950], [-1.525, 1.561, 1.385], [4.320, 1.247, 0.860], [-1.368, -2.221, 0.301], [-6.286, 1.316, -0.623], [-2.630, -1.092, -1.571], [4.190, 1.635, -1.268], [-5.013, -0.784, 0.128], [-0.186, 2.950, -1.397], [4.045, -0.670, 1.888], [3.677, 2.119, 0.950], [5.506, -0.990, -0.440], [-5.165, -0.977, -1.637], [-1.253, 1.359, 2.409], [5.145, 1.353, 1.563], [-2.402, 2.275, -2.301], [2.521, 0.152, 1.504], [5.856, 1.412, -0.703], [-3.497, 0.755, 1.540], [4.518, -0.670, -1.892], [-0.698, -0.436, -0.732], [-4.442, 1.221, -2.074], [0.732, -4.590, 1.505], [-1.675, -4.016, 1.408], [2.405, -3.051, 0.482]],
  "forces_ev_per_angstrom": [[-0.29, -0.62, 0.05], [0.35, -0.17, 0.05], [0.27, -0.11, -0.03], [0.13, -0.08, 0.29], [0.19, 0.23, -0.22], [-0.08, -0.09, 0.31], [-0.28, 0.15, 0.16], [-0.06, -0.03, -0.39], [0.30, 0.26, 0.49], [-1.04, -0.19, -0.58], [0.04, 0.19, -0.17], [0.32, 0.02, 0.28], [0.10, -0.08, -0.30], [0.33, -0.31, -0.21], [0.41, 0.15, -0.59], [0.07, -0.10, 0.02], [-0.04, 0.02, -0.05], [0.08, -0.05, 0.03], [-1.22, -0.22, -0.57], [-0.21, 0.02, 0.01], [0.54, 0.32, -0.06], [-0.14, -0.11, 0.16], [-0.17, 0.17, -0.09], [-0.14, 0.21, 0.73], [-0.15, 0.16, 0.07], [-0.10, 0.08, -0.04], [0.22, 0.09, 0.08], [-0.03, 0.06, 0.01], [0.38, 0.02, 0.06], [0.01, 0.00, -0.01], [0.05, -0.10, 0.11], [0.05, 0.04, -0.04], [0.00, 0.07, -0.17], [0.04, 0.02, -0.06], [-0.06, 0.03, -0.04], [0.00, 0.03, 0.07], [-0.08, -0.01, -0.04], [-0.02, 0.04, 0.12], [0.03, -0.03, 0.04], [-0.01, 0.02, 0.03], [-0.03, 0.02, -0.10], [0.11, -0.01, 0.17], [0.01, 0.04, -0.06], [-0.07, -0.11, 0.11], [0.23, -0.04, 0.02], [-0.18, 0.16, -0.01], [0.08, -0.03, 0.18], [0.03, -0.07, 0.03], [-0.06, -0.04, 0.07], [0.10, -0.07, 0.05]],
*/
All of the above ideas are great and suggest a lot of concern and suppost. Please be reminded though that Rick passed away 2 weeks ago, on Thursday, January 12, 2014. My point is only that we have missed the immediate passing. So perhaps the cards, if sent individually might actually help the family through the process. Obviously i have no idea though what is best. Cards from all over will help in the reasonably close/immediate grieving process, and that the signed hat, and any sort of collective retreat sponsorship we can do which might help in the long term support of his Rick's memories for his family. Again, just some random thoughts.
The impact for multiple cards from multiple different people at different times would be (I think) more meaningful then one big shot.
I see no reason why we cant do all the above mentioned. If you would like to donate, do so, card, do so, hat do so. Whatever you feel you can do I am certain would be appreciated.
Again, lets wait on the donations until we hear from the retreat. Nothing saying we cant send them individually.The $290 they stated I am sure is just a suggestion, it covers room and board for one individual. We can send more or we can send less. Lets wait for their reply.